Dan Bilefsky Still Hates Pro-Market, Anti-EU Czech President

Times reporter Dan Bilefsky warns that the pro-free-market, pro-Israel, Czech Republic president Vaclav Klaus "clings to national sovereignty" and may commit the "ultimate act of sabotage" against the sacred left-wing idea, the European Union.

Prague-based correspondent Dan Bilefsky can't abide Czech Republic President Vaclev Klaus. That's clear from Tuesday's story by Bilefsky and Stephen Castle, "Contrarian Leader Questions an Ambitious Path for Europe."

Klaus's sins? Being a supporter of free markets and Israel, and a harsh critic of the European Union, which Bilefsky apparently considers beyond criticism, as does the European left in general.

When Klaus took the positionof president of the European Union in November 2008, Bilefsky responded with a piece seething with hostility. In a truly creepy lead, Bilefsky relayed the contents of a secret police file from the former Communist state of Czechoslovakia to insult Klaus for his "now famous arrogance."

# Unrelated to this entry: records of molecules
[1]
C17H17CdN3O2 | wB97M-V/def2-TZVPD

relative energy (zero: lowest compared OMol25 entry of this formula, charge and spin) = 88.6 kJ/mol
E_tot = -31033.2823 eV
HOMO = -7.472 eV
Kohn-Sham gap = 7.16 eV
charge = 0

Element x y z (Å)
Cd  -0.1244  -0.3106  -0.0168
C  -0.8865  2.2005  -3.4731
C  -0.7792  1.7303  -2.0411
O  -0.0420  0.6388  -1.9032
C  -1.3827  2.4319  -1.0502
C  -1.2083  2.0869  0.3688
C  -0.2209  2.8957  1.1683
N  -1.7951  1.1163  0.9978
N  -2.9368  0.5680  0.4149
C  -2.9425  -0.7019  0.1783
O  -1.9235  -1.5192  0.1756
C  -4.2762  -1.3076  -0.1427
C  -4.3448  -2.6325  -0.5563
C  -5.5721  -3.2136  -0.8470
C  -6.7372  -2.4717  -0.7294
C  -6.6722  -1.1453  -0.3191
C  -5.4492  -0.5652  -0.0266
H  -0.2643  1.5752  -4.1092
H  -0.5640  3.2375  -3.5723
H  -1.9169  2.1379  -3.8243
H  -1.8596  3.3725  -1.2985
H  -0.5667  3.9328  1.1977
H  0.7577  2.9205  0.6826
H  -0.1394  2.5262  2.1903
H  -3.4261  -3.1949  -0.6473
H  -5.6168  -4.2462  -1.1699
H  -7.6947  -2.9232  -0.9573
H  -7.5801  -0.5624  -0.2279
H  -5.3842  0.4653  0.2932
C  1.6344  -1.5789  4.4343
C  2.4560  -0.8173  3.6167
C  2.0378  -0.5485  2.3284
N  0.8721  -0.9944  1.8483
C  0.0725  -1.7222  2.6385
C  0.4277  -2.0395  3.9370
H  1.9335  -1.8064  5.4491
H  3.4044  -0.4326  3.9627
H  2.6465  0.0380  1.6525
H  -0.8693  -2.0292  2.1977
H  -0.2442  -2.6315  4.5416

Results of the natural (NBO) charge analysis, in e, for atoms 1 through 2:
1. Cd 1.669
2. C -0.672

=====

[2]
C44H107BF9N2O12S | wB97M-V/def2-TZVPD

E_tot = -110882.7525 eV
HOMO = -4.350 eV
Kohn-Sham gap = 6.02 eV
charge = -1

Element x y z (Å)
C  0.6916  -5.9924  -1.8413
C  1.6476  -5.0426  -1.1468
O  1.5907  -4.8900  0.0918
O  2.5219  -4.4544  -1.9782
C  2.7772  -3.0490  -1.6725
C  1.5893  -2.1670  -2.0290
B  1.9135  -0.9833  -3.1275
N  2.1995  -1.7450  -4.4915
C  3.2863  -0.1148  -2.8549
C  3.2921  1.0535  -1.8645
C  3.2403  0.6661  -0.3878
C  2.8349  1.9227  0.4132
N  1.3832  2.1552  0.3348
C  0.5710  -0.0157  -3.3967
C  -0.7225  -0.8440  -3.4099
C  -1.8836  -0.1163  -4.1087
C  -2.9697  -1.1414  -4.4700
C  -4.4202  -0.6873  -4.3774
F  -4.9895  -0.9358  -5.6089
F  -4.5603  0.6391  -4.1805
C  -5.2996  -1.5350  -3.4180
F  -6.5841  -1.4126  -3.8332
F  -4.9839  -2.8304  -3.5596
S  -5.3152  -1.0615  -1.5874
F  -6.7270  -1.7925  -1.4198
F  -4.6276  -2.4264  -1.1810
F  -3.9234  -0.3681  -1.6791
F  -6.0763  0.2729  -1.9075
F  -5.3744  -0.6928  -0.0585
H  -0.2605  -5.5185  -2.0313
H  0.6042  -6.9327  -1.3209
H  1.1197  -6.2209  -2.8129
H  3.0087  -2.9496  -0.6195
H  3.6766  -2.8062  -2.2171
H  1.1261  -1.8196  -1.1041
H  0.8576  -2.8320  -2.4884
H  1.3556  -2.2596  -4.7290
H  2.2948  -1.0574  -5.2305
H  3.5400  0.3332  -3.8196
H  4.1398  -0.7392  -2.5858
H  2.5586  1.8232  -2.0827
H  4.2624  1.5407  -1.9792
H  2.5081  -0.1100  -0.1910
H  4.2200  0.3638  -0.0352
H  3.3027  2.7608  -0.0796
H  3.1620  1.8415  1.4358
H  0.9156  1.8393  1.1727
H  0.9599  1.6285  -0.4181
H  0.4470  0.7904  -2.6676
H  0.6629  0.4085  -4.3949

Although the Czech Republic handed over the European Union's presidency to Sweden in June, Bilefsky is still nursing contempt for Klaus in Tuesday's piece. Besides being an "ardent exponent of free markets" and defending Israel's incursion into Gaza as a defensive move (Bilefsky called that "anathema to most big European nations, including France"), Klaus is stubbornly "clinging to national sovereignty" by opposing the Lisbon Treaty, which would install apermanent European presidency.

When theEuropean Unionand Russia held their most recent summit meeting in May, the Czech president,Vaclav Klaus, stunned European diplomats when he passed out copies of his book denouncingthe fight against global warming- a central policy of the 27-nation bloc he was supposed to lead.

Just before the summit meeting, Mr. Klaus, whose country held the rotating presidency of the European Union, warned his European colleagues that they should take greater heed of Russian concerns than those of "small Estonia or Lithuania" - two former Soviet republics that are now, like theCzech Republic, members of the union.

The European Union is the world's biggest political and economic bloc, and it often aspires to global leadership. But Mr. Klaus, a contrarian agitator who is also the head of state of one of Eastern Europe's wealthiest democracies, does not agree with many things the European Union espouses- or even that Europe should have a strong union. Hedeclined to display its gold-starred flagin his office during his nation's presidential term.

The fact that he was one of Europe's top representatives at the height of the global economic crisis reveals the difficult trade-offs made to achieve the semblance of unity, as well as the limits of Europe's clout. The European Union rotates the top leadership post among its members in half-year increments, irrespective of their size or, in some cases, commitment to its professed goals.

Mr. Klaus helped topple the Czech government in March midway through the Czech presidency, embarrassing many supporters of Europe in his homeland and leaving the bloc of 495 million people rudderless during the financial crisis.

Even after the Czechs ceded the presidency to Sweden at the end of June, Mr. Klaus remains a potent symbol of the difficulties of acting collectively in a union divided between leaders who favor greater integration, and those like Mr. Klaus who cling to national sovereignty.

Check out the Times' bellicose imagery:

Soon Mr. Klaus may have the opportunity for the ultimate act of sabotage. In a few months he will be asked to sign the Lisbon Treaty, which aims to enhance the bloc's role on the world stage by creating, among other things, a permanent European presidency. The treaty has finally approached ratification after years of setbacks, but Mr. Klaus, one of its fiercest critics, has warned that it will create a centralized "superstate."

The article actually got more hostile from there, with Bilefsky and Castle accusing Klaus of undermining the European Union. For a less starry-eyed view of the EU, read Andrew Stuttaford's devastating Weekly Standard piece.